3 Reviews liked by CaptainC0smos

i grew up in hawaii so this is an obviously biased viewpoint that i'm speaking from, but exploring the painstakingly recreated waikiki stip all the way to ala moana mall and iolani palace was a big deal to someone who hasn't been able to visit home since 2009

**The article is interrupted by crystal structures**
┌──
1.
Starting from a DFT-relaxed cell (PBE+U, the Materials Project), the powder diffractogram of MgMo2Cl8O2 was calculated for Cu Kα (weighted mean of Kα1 and Kα2).

Peak list (10 most intense, 10 to 80 degrees two-theta, sorted by position)
Position (°2θ)	intensity
15.0	100
15.2	66
17.3	44
19.5	87
19.7	89
20.2	48
22.5	65
26.2	46
33.4	72
34.2	75

Structure:
```
MgMo2Cl8O2
1.0
6.3603 0.0000 0.0000
-1.1398 7.3445 0.0000
-2.6217 -1.9149 7.2909
Mg Mo Cl O
1 2 8 2
Direct
0.0000 0.0000 0.0000
0.5154 0.4575 0.9729
0.6370 0.9890 0.4045
0.2181 0.4679 0.7169
0.2294 0.3411 0.0940
0.3638 0.8888 0.0846
0.3865 0.8046 0.4908
0.7397 0.6283 0.2832
0.7593 0.6724 0.8789
0.9401 0.0902 0.2849
0.9570 0.9889 0.6768
0.5930 0.2057 0.4646
0.6147 0.2622 0.9286
```

2.
Starting from a DFT-relaxed cell (PBE+U, the Materials Project), the powder diffractogram of MgMnV4O12 was calculated for Cu Kα (weighted mean of Kα1 and Kα2).

Peak list (10 most intense, 10 to 80 degrees two-theta, sorted by position)
Position (°2θ)	intensity
21.1	35
23.8	53
24.3	100
33.0	58
34.0	26
35.3	23
35.5	41
49.8	32
53.3	28
55.2	29

Structure:
```
MgMnV4O12
1.0
5.0586 0.0000 0.0000
0.1319 5.4498 0.0000
0.1834 0.5857 7.3328
Mg Mn V O
1 1 4 12
Direct
0.0000 0.0000 0.0000
0.4711 0.7098 0.6009
0.4699 0.1400 0.2799
0.5048 0.1226 0.7859
0.9770 0.6181 0.3177
0.9904 0.5796 0.8235
0.0908 0.5872 0.0422
0.1781 0.2842 0.3335
0.2012 0.8729 0.7424
0.2721 0.7624 0.3538
0.3093 0.4182 0.7145
0.3758 0.0956 0.0312
0.5715 0.0521 0.5383
0.6801 0.3719 0.2430
0.7189 0.7945 0.8444
0.7933 0.8766 0.2261
0.8191 0.2799 0.8503
0.8328 0.5835 0.5397
```

3.
Starting from a DFT-relaxed cell (PBE+U, the Materials Project), the powder diffractogram of Li3CrNi4O8 was calculated for Cu Kα (weighted mean of Kα1 and Kα2).

Peak list (10 most intense, 10 to 80 degrees two-theta, sorted by position)
Position (°2θ)	intensity
18.5	100
21.3	15
30.4	14
35.8	27
35.9	16
37.4	29
37.5	28
43.5	91
43.7	45
63.3	63

Structure:
```
Li3CrNi4O8
1.0
5.0827 -2.9391 0.0000
5.0827 2.9391 0.0000
-3.4240 0.0000 4.8071
Li Cr Ni O
3 1 4 8
Direct
0.0000 0.0000 0.0000
0.0000 0.5000 0.0000
0.5000 0.0000 0.0000
0.5000 0.5000 0.5000
0.0000 0.0000 0.5000
0.0000 0.5000 0.5000
0.5000 0.0000 0.5000
0.5000 0.5000 0.0000
0.2498 0.2498 0.7227
0.2615 0.7376 0.2615
0.2624 0.7385 0.7385
0.2690 0.2690 0.2785
0.7310 0.7310 0.7215
0.7376 0.2615 0.2615
0.7385 0.2624 0.7385
0.7502 0.7502 0.2773
```

4.
Starting from a DFT-relaxed cell (PBE+U, the Materials Project), the powder diffractogram of RbWO7 was calculated for Cu Kα (weighted mean of Kα1 and Kα2).

Peak list (10 most intense, 10 to 80 degrees two-theta, sorted by position)
Position (°2θ)	intensity
10.9	36
14.2	64
15.7	100
16.5	39
19.9	84
21.3	45
22.0	42
22.8	52
24.5	96
31.0	36

Structure:
```
RbWO7
1.0
6.4013 0.0000 0.0000
1.2030 8.3447 0.0000
0.0593 3.3125 13.0551
Rb W O
4 4 28
Direct
0.1174 0.2372 0.0643
0.1732 0.3190 0.3831
0.8268 0.6810 0.6169
0.8826 0.7628 0.9357
0.2107 0.7528 0.3953
0.4658 0.6327 0.1654
└──
**The article goes on**

you can also fight a giant squid with a swiffer mop and a surfboard, which is also very true to the hawaiian experience

One of the main points of contention Xenogears' critics will bring up is the game being released in a state of not being entirely finished. Disc 2 being made up of mostly narration and Evangelion eps 25-26-esqe dreamlike cutscenes is a common point of contention when addressing this game's strengths and shortcomings. Just as every artistic medium is defined by its limitations, video games are no different. Even still, Xenogears is a special case. One of the main questions the game poses is what it means to be complete. Although this is mainly to be applied the main character Fei and his arc of finding his purpose by forming meaningful human connections, given the game's own status as a not fully realized vision makes the message all the more profound.

If there's one question that Xenogears has made me ask more than anything else, it's about the point when a piece of art becomes complete. How complete do you need to be to feel like a "whole"? A defining aspect of Gears is its stance on this topic: we aren't defined by our own journeys so much as how we affect the lives of each other.

Many may see disc 2 as unsatisfying, but the way I see it it's the brightest shining aspect of what makes Xenogears as good as it is. This game tells a front to back story, and I haven't even addressed the fact that I think this might be the best individual story I've ever experienced in a single video game! Not to mention the amazing character arcs of Fei and Elly. People throw around the term "this speaks to me on multiple levels" a lot but this is especially true to me with Xenogears.

As the game says, it's okay to not feel whole. Eventually as time marches on, we affect the lives of others and find meaning in the various human connections we form in our lives. And that gives us meaning just as much as any aspect of ourselves. Just as people are defined by the bonds we make, the people we meet, and the love we share, I think Xenogears has a somewhat similar journey.

A big reason I was interested in this game as I've been is because of how much I've heard it inspired modern JRPGs. With them being my favorite genre of game, combined with my fascination with works of fiction that inspired other pieces I so dearly enjoy made Xenogears a must play for me eventually. I'm so happy I did. Seeing this game's legacy retroactively makes me think this is the "complete" form of Xenogears: leaving such a legacy on the entire genre in the 24 years since its release.

Video games are a unique artform. The relationship between creator and consumer is an especially gray line here with many of the highest names in the industry describing themselves gamers just as much as game creators. Games, being as big of an art form as they are, cannot be created by one person (maybe in some instances but definitely not something like Xenogears for the purposes of this thought). Creators constantly build off one another, using aspects of someone else's creation for their own works, thus creating a living legacy for the original piece. Given how much inspiration others have found in the storytelling, character writing, and worldbuilding of Gears, I think it's safe to say it has about as impactful of a living, active legacy as just about any game in the genre.

Xenogears defines what it means to be a video game. Despite the fact that it's not a fully realized vision, you cannot argue the impact its had on everyone who's come into contact with it. Knowing this, is there really anything that truly needs to be changed about it? Although it's admittedly imperfect, flawed, whatever you want to call it, the lasting impressions it leaves on everyone give the game as much of a purpose as if it was truly finished.

So is Xenogears "whole"? I think so at least.

It’s no secret that I love Kingdom Hearts and especially Kingdom Hearts II as it was the very first video game franchise I’ve ever became a fan of, however, there is one secret I do have: I never played the Final Mix version until now.

Crazy, I know! Played the vanilla game so many times day in and day out growing up, remembering being so jealous knowing that Japan had an exclusive (at the time) version of the game where you get to challenge all of the Organization XIII and more, and even witness the numerous re-releases of Final Mix in the West, but for some reason, I only just now recently gotten around to experiencing the game, and man I really wish I started sooner.

The same overall package is still here. The grand stories, the memorable characters, the iconic music, the worlds, and the incredible fast-paced combat, but now there’s more and it’s completely fine tuned to perfection. The changes under the hood makes the combat feel even more snappy and satisfying, the new additional boss fights feel like a dance that can overwhelm either yourself or your opponent, the inclusion of Cavern of Remembrance adds even more depth to the gameplay with its movement and enemies, and overall the entire experience is just amped up to a 10. I know the whole “power of friendship” troupe can be so overdone in a lot of media, but I think KH2 does it best while it can be as cheesy as the first game, it fully embraces it without shame and wears it proudly on it sleeves, which works so well because Kingdom Hearts overall is essentially a shonen anime with Disney and Final Fantasy characters. Even with how absurd it can get for some people, there’s so much heart in the writing to where you can’t help but to at least find it extremely endearing.

I feel like I could REALLY go on about this, but I think I wanna save a much deeper depth into KH2 for a review in the future. I think right now it’s hard to fully capture the words and things I wanna say, because this game and series left such a strong impression on me and the impact it has had on me is something that very few games or even pieces of media have ever accomplished, it really altered how I view the medium and understanding of video games and what they could be. Growing up with KH2 has left me wowed and in awe of what an amazing game looks like, and with Final Mix, it gives me another example of what a masterpiece can look like.